**Work order:**
Next, find "0.250" and "Properties" in the notes further below, and reproduce these two lines and those between.

**Input:**
- - -
Density functional theory data (SCAN) for a PBEsol-optimized structure of Cr2WCl.

a = 3.983 Å, b = 4.513 Å, c = 3.983 Å
α = 63.81°, β = 90.00°, γ = 116.19°
Each line ends with the local moment (μB).
Fractional positions:
Cr 0.250 0.500 0.250  2.86
Cr 0.750 0.500 0.750  2.86
Cl 0.000 0.000 0.000  0.06
W 0.500 0.000 0.500  -1.22

Properties
Energy above the most stable polymorph in this dataset = 518 meV per atom
SG = I4/mmm, No. 139
M_tot = 4.65 μB per formula unit
V = 55.94 Å³/cell
- - -

**Result:**
Cr 0.250 0.500 0.250  2.86
Cr 0.750 0.500 0.750  2.86
Cl 0.000 0.000 0.000  0.06
W 0.500 0.000 0.500  -1.22

Properties